Your job: quote the lines underneath from the first line to the one with "1.8805 -12.6711" without additions.
- - -
[1]
PBE-GGA Sc2BeOs, optimized geometry; crystal system = monoclinic; calculated total energy = -28.44 eV for the cell shown; symmetry = No. 8
1.0
4.9254 -1.5991 0.0000
4.9254 1.5991 0.0000
-1.7163 0.0000 4.2153
Sc Be Os
2 1 1
direct
0.0000 0.0000 0.0000
0.2100 0.2100 0.6742
0.7683 0.7683 0.2272
0.4473 0.4473 0.4473

[2]
PBE-GGA CsGe2Te3, optimized geometry; crystal system = tetragonal; calculated total energy = -21.56 eV for the cell shown; symmetry = No. 139
1.0
-2.7695 2.7695 7.2825
2.7695 -2.7695 7.2825
2.7695 2.7695 -7.2825
Cs Ge Te
1 2 3
direct
0.0000 0.0000 0.0000
0.3129 0.3129 0.0000
0.6871 0.6871 0.0000
0.2500 0.7500 0.5000
0.5000 0.5000 0.0000
0.7500 0.2500 0.5000

[3]
PBE-GGA LaMgB14, optimized geometry; crystal system = orthorhombic; calculated total energy = -206.76 eV for the cell shown; symmetry = No. 74
1.0
-2.9707 5.4208 4.1982
2.9707 -5.4208 4.1982
2.9707 5.4208 -4.1982
La Mg B
2 2 28
direct
0.3866 0.1366 0.2500
0.6134 0.8634 0.7500
0.0000 0.0000 0.5000
0.0000 0.5000 0.0000
0.0013 0.1311 0.8702
0.0278 0.2042 0.3270
0.0278 0.7009 0.8236
0.0856 0.6679 0.4176
0.1963 0.5304 0.6659
0.2181 0.4989 0.3982
0.2181 0.8199 0.7192
0.2391 0.8689 0.3702
0.2497 0.3321 0.9176
0.3645 0.5304 0.8341
0.3772 0.2042 0.6764
0.3772 0.7009 0.1730
0.3993 0.1801 0.8982
0.3993 0.5011 0.2192
0.6007 0.4989 0.7808
0.6007 0.8199 0.1018
0.6228 0.2991 0.8270
0.6228 0.7958 0.3236
0.6355 0.4696 0.1659
0.7503 0.6679 0.0824
0.7609 0.1311 0.6298
0.7819 0.1801 0.2808
0.7819 0.5011 0.6018
0.8037 0.4696 0.3341
0.9144 0.3321 0.5824
0.9722 0.2991 0.1764
0.9722 0.7958 0.6730
0.9987 0.8689 0.1298

[4]
PBE-GGA Tb2Si3AgPt12, optimized geometry; crystal system = trigonal; calculated total energy = -108.47 eV for the cell shown; symmetry = No. 166
1.0
4.1777 2.4120 5.7447
-4.1777 2.4120 5.7447
0.0000 -4.8240 5.7447
Tb Si Ag Pt
2 3 1 12
direct
0.1058 0.1058 0.1058
0.8942 0.8942 0.8942
0.0000 0.5000 0.5000
0.5000 0.0000 0.5000
0.5000 0.5000 0.0000
0.5000 0.5000 0.5000
0.1142 0.6435 0.6435
0.1450 0.1450 0.6035
0.1450 0.6035 0.1450
0.3565 0.3565 0.8858
0.3565 0.8858 0.3565
0.3965 0.8550 0.8550
0.6035 0.1450 0.1450
0.6435 0.1142 0.6435
0.6435 0.6435 0.1142
0.8550 0.3965 0.8550
0.8550 0.8550 0.3965
0.8858 0.3565 0.3565

[5]
PBE-GGA CaTmCu3, optimized geometry; crystal system = orthorhombic; calculated total energy = -39.26 eV for the cell shown; symmetry = No. 63
1.0
1.8805 -12.6711 0.0000
1.8805 12.6711 0.0000
0.0000 0.0000 4.2340
Ca Tm Cu
2 2 6
direct
0.0730 0.9270 0.7500
0.9270 0.0730 0.2500
0.2055 0.7945 0.2500
0.7945 0.2055 0.7500
0.3235 0.6765 0.2500
0.3785 0.6215 0.7500
0.4754 0.5246 0.7500
0.5246 0.4754 0.2500
0.6215 0.3785 0.2500
0.6765 0.3235 0.7500

[6]
PBE-GGA PmPr6NdY2, optimized geometry; crystal system = monoclinic; calculated total energy = -49.05 eV for the cell shown; symmetry = No. 12
1.0
5.6812 -3.5900 0.0000
5.6812 3.5900 0.0000
-2.0763 0.0000 8.7862
Pm Pr Nd Y
1 6 1 2
direct
0.0000 0.0000 0.0000
0.0941 0.5517 0.1992
0.1349 0.1349 0.4284
0.4483 0.9059 0.8008
0.5517 0.0941 0.1992
0.8651 0.8651 0.5716
0.9059 0.4483 0.8008
0.5000 0.5000 0.5000
0.4101 0.4101 0.8384
0.5899 0.5899 0.1616

[7]
PBE-GGA CeHfAu, optimized geometry; crystal system = tetragonal; calculated total energy = -20.16 eV for the cell shown; symmetry = No. 107
1.0
-1.6626 1.6626 6.3267
1.6626 -1.6626 6.3267
1.6626 1.6626 -6.3267
Ce Hf Au
1 1 1
direct
0.0000 0.0000 0.0000
0.3157 0.3157 0.0000
0.6860 0.6860 0.0000

[8]
PBE-GGA Pm2SbC, optimized geometry; crystal system = tetragonal; calculated total energy = -21.59 eV for the cell shown; symmetry = No. 123
1.0
4.9082 0.0000 0.0000
0.0000 4.9082 0.0000
0.0000 0.0000 3.9023
Pm Sb C
2 1 1
direct
0.0000 0.5000 0.0000
0.5000 0.0000 0.0000
0.0000 0.0000 0.5000
0.5000 0.5000 0.5000

[9]
PBE-GGA Tm2BeSi3Ni12, optimized geometry; crystal system = trigonal; calculated total energy = -101.17 eV for the cell shown; symmetry = No. 166
1.0
3.0786 1.7774 7.4964
-3.0786 1.7774 7.4964
0.0000 -3.5548 7.4964
Tm Be Si Ni
2 1 3 12
direct
- - -
[1]
PBE-GGA Sc2BeOs, optimized geometry; crystal system = monoclinic; calculated total energy = -28.44 eV for the cell shown; symmetry = No. 8
1.0
4.9254 -1.5991 0.0000
4.9254 1.5991 0.0000
-1.7163 0.0000 4.2153
Sc Be Os
2 1 1
direct
0.0000 0.0000 0.0000
0.2100 0.2100 0.6742
0.7683 0.7683 0.2272
0.4473 0.4473 0.4473

[2]
PBE-GGA CsGe2Te3, optimized geometry; crystal system = tetragonal; calculated total energy = -21.56 eV for the cell shown; symmetry = No. 139
1.0
-2.7695 2.7695 7.2825
2.7695 -2.7695 7.2825
2.7695 2.7695 -7.2825
Cs Ge Te
1 2 3
direct
0.0000 0.0000 0.0000
0.3129 0.3129 0.0000
0.6871 0.6871 0.0000
0.2500 0.7500 0.5000
0.5000 0.5000 0.0000
0.7500 0.2500 0.5000

[3]
PBE-GGA LaMgB14, optimized geometry; crystal system = orthorhombic; calculated total energy = -206.76 eV for the cell shown; symmetry = No. 74
1.0
-2.9707 5.4208 4.1982
2.9707 -5.4208 4.1982
2.9707 5.4208 -4.1982
La Mg B
2 2 28
direct
0.3866 0.1366 0.2500
0.6134 0.8634 0.7500
0.0000 0.0000 0.5000
0.0000 0.5000 0.0000
0.0013 0.1311 0.8702
0.0278 0.2042 0.3270
0.0278 0.7009 0.8236
0.0856 0.6679 0.4176
0.1963 0.5304 0.6659
0.2181 0.4989 0.3982
0.2181 0.8199 0.7192
0.2391 0.8689 0.3702
0.2497 0.3321 0.9176
0.3645 0.5304 0.8341
0.3772 0.2042 0.6764
0.3772 0.7009 0.1730
0.3993 0.1801 0.8982
0.3993 0.5011 0.2192
0.6007 0.4989 0.7808
0.6007 0.8199 0.1018
0.6228 0.2991 0.8270
0.6228 0.7958 0.3236
0.6355 0.4696 0.1659
0.7503 0.6679 0.0824
0.7609 0.1311 0.6298
0.7819 0.1801 0.2808
0.7819 0.5011 0.6018
0.8037 0.4696 0.3341
0.9144 0.3321 0.5824
0.9722 0.2991 0.1764
0.9722 0.7958 0.6730
0.9987 0.8689 0.1298

[4]
PBE-GGA Tb2Si3AgPt12, optimized geometry; crystal system = trigonal; calculated total energy = -108.47 eV for the cell shown; symmetry = No. 166
1.0
4.1777 2.4120 5.7447
-4.1777 2.4120 5.7447
0.0000 -4.8240 5.7447
Tb Si Ag Pt
2 3 1 12
direct
0.1058 0.1058 0.1058
0.8942 0.8942 0.8942
0.0000 0.5000 0.5000
0.5000 0.0000 0.5000
0.5000 0.5000 0.0000
0.5000 0.5000 0.5000
0.1142 0.6435 0.6435
0.1450 0.1450 0.6035
0.1450 0.6035 0.1450
0.3565 0.3565 0.8858
0.3565 0.8858 0.3565
0.3965 0.8550 0.8550
0.6035 0.1450 0.1450
0.6435 0.1142 0.6435
0.6435 0.6435 0.1142
0.8550 0.3965 0.8550
0.8550 0.8550 0.3965
0.8858 0.3565 0.3565

[5]
PBE-GGA CaTmCu3, optimized geometry; crystal system = orthorhombic; calculated total energy = -39.26 eV for the cell shown; symmetry = No. 63
1.0
1.8805 -12.6711 0.0000